Data
____________
[1]
For ZnPS3, a PBE-relaxed structure gives the calculated X-ray diffraction stick pattern in this record (Cu Kα).

Top 10 peaks for 15° ≤ 2θ ≤ 90°, low angle first:
two_theta	Rel. int.
30.03	48
33.65	7
34.12	100
37.45	6
41.89	14
45.05	25
52.76	33
54.38	17
64.34	14
87.81	15

```
ZnPS3
1.0
3.0054 -5.2051 0.0000
3.0054 5.2051 0.0000
-1.9856 0.0000 7.2247
Zn P S
2 2 6
Direct
0.1670 0.8330 0.0000
0.8330 0.1670 0.0000
0.4493 0.4493 0.8470
0.5507 0.5507 0.1530
0.0971 0.4260 0.7762
0.2450 0.2450 0.2236
0.4260 0.0971 0.7762
0.5740 0.9029 0.2238
0.7550 0.7550 0.7764
0.9029 0.5740 0.2238
```

[2]
For CeOF, a PBE-relaxed structure gives the calculated X-ray diffraction stick pattern in this record (Cu Kα).

Top 10 peaks for 15° ≤ 2θ ≤ 90°, low angle first:
two_theta	Rel. int.
15.03	11
27.03	100
30.32	12
31.79	46
37.98	24
44.51	30
45.58	25
51.89	13
53.79	31
60.78	11

```
CeOF
1.0
3.9803 0.0000 0.0000
0.0000 3.9803 0.0000
0.0000 0.0000 5.8960
Ce O F
2 2 2
Direct
0.2500 0.2500 0.2054
0.7500 0.7500 0.7946
0.2500 0.7500 0.0000
0.7500 0.2500 0.0000
0.2500 0.2500 0.6089
0.7500 0.7500 0.3911
```

[3]
For SmFeCo, a PBE-relaxed structure gives the calculated X-ray diffraction stick pattern in this record (Cu Kα).

Top 10 peaks for 15° ≤ 2θ ≤ 90°, low angle first:
two_theta	Rel. int.
33.16	27
34.57	100
34.71	26
39.66	86
40.67	78
41.08	37
41.41	39
41.77	20
60.14	20
72.92	35

```
SmFeCo
1.0
-2.5842 2.7019 3.6072
2.5842 -2.7019 3.6072
2.5842 2.7019 -3.6072
Sm Fe Co
2 2 2
Direct
0.3757 0.1257 0.2500
0.6243 0.8743 0.7500
0.0000 0.0000 0.5000
0.0000 0.5000 0.0000
0.0000 0.5000 0.5000
0.5000 0.5000 0.0000
```

[4]
For ClF, a PBE-relaxed structure gives the calculated X-ray diffraction stick pattern in this record (Cu Kα).

Top 10 peaks for 15° ≤ 2θ ≤ 90°, low angle first:
two_theta	Rel. int.
25.28	100
27.74	13
28.83	17
32.20	33
34.99	17
36.75	31
42.14	14
49.70	13
51.32	10
55.64	12

```
ClF
1.0
6.5631 0.0000 0.0000
0.0000 3.7394 0.0000
-2.0452 0.0000 7.0479
Cl F
4 4
Direct
0.1529 0.0101 0.2902
0.1529 0.4899 0.7902
0.8471 0.5101 0.2098
0.8471 0.9899 0.7098
0.3676 0.2196 0.8468
0.3676 0.2804 0.3468
0.6324 0.7196 0.6532
0.6324 0.7804 0.1532
```

[5]
For NaCeHfNbO6, a PBE-relaxed structure gives the calculated X-ray diffraction stick pattern in this record (Cu Kα).

Top 10 peaks for 15° ≤ 2θ ≤ 90°, low angle first:
two_theta	Rel. int.
18.85	27
21.80	16
31.02	100
36.55	16
44.45	32
48.68	7
55.19	40
64.67	20
73.46	17
81.86	6

```
NaCeHfNbO6
1.0
0.0000 4.0765 4.0765
4.0765 0.0000 4.0765
4.0765 4.0765 0.0000
Na Ce Hf Nb O
1 1 1 1 6
Direct
0.0000 0.0000 0.0000
0.5000 0.5000 0.5000
0.2500 0.2500 0.2500
0.7500 0.7500 0.7500
0.5022 0.5022 0.9978
0.5022 0.9978 0.5022
0.5022 0.9978 0.9978
0.9978 0.5022 0.5022
0.9978 0.5022 0.9978
0.9978 0.9978 0.5022
```

* * * * *

The following is a simulated powder X-ray diffraction pattern of Fe3O5F. It was derived from DFT lattice parameters and positions (PBE+U), using Cu Kα (λ = 1.5418 Å).

Cell and atoms:
```
data_Fe3O5F
_cell_length_a 9.0180
_cell_length_b 4.6493
_cell_length_c 4.6416
_cell_angle_alpha 90.00
_cell_angle_beta 90.00
_cell_angle_gamma 90.00
_space_group_name_H-M_alt 'P m n 21'
_space_group_IT_number 31
loop_
_space_group_symop_operation_xyz
'x,y,z'
'-x+1/2,-y,z+1/2'
'-x,y,z'
'x+1/2,-y,z+1/2'
loop_
_atom_site_label
_atom_site_type_symbol
_atom_site_fract_x
_atom_site_fract_y
_atom_site_fract_z
_atom_site_occupancy
Fe1 Fe 0.0000 0.2282 0.0000 1
Fe2 Fe 0.1727 0.7521 0.5282 1
O1 O 0.0000 0.9241 0.7041 1
O2 O 0.1605 0.0492 0.2115 1
O3 O 0.1627 0.4362 0.8261 1
F1 F 0.0000 0.5436 0.3193 1
```

Most intense lines, 2θ = 10–80°, sorted by position:
- 3.285 Å, rel. 100.0
- 2.524 Å, rel. 52.1
- 2.323 Å, rel. 10.3
- 2.218 Å, rel. 13.9
- 1.709 Å, rel. 58.4
- 1.642 Å, rel. 16.2
- 1.376 Å, rel. 10.1
- 1.367 Å, rel. 11.1

* * * * *

Structure and calculated powder XRD pattern of PrEr4Pb4 (a structure optimized by DFT (GGA-PBE); copper Kα).
Lines closer than 0.1° are merged.

Main lines, sorted by position (10° ≤ 2θ ≤ 80°):
____________

What to do
The reader should find the line above that holds "0.2236", then type out that line and all lines after it there.

Reply
0.2450 0.2450 0.2236
0.4260 0.0971 0.7762
0.5740 0.9029 0.2238
0.7550 0.7550 0.7764
0.9029 0.5740 0.2238
```

[2]
For CeOF, a PBE-relaxed structure gives the calculated X-ray diffraction stick pattern in this record (Cu Kα).

Top 10 peaks for 15° ≤ 2θ ≤ 90°, low angle first:
two_theta	Rel. int.
15.03	11
27.03	100
30.32	12
31.79	46
37.98	24
44.51	30
45.58	25
51.89	13
53.79	31
60.78	11

```
CeOF
1.0
3.9803 0.0000 0.0000
0.0000 3.9803 0.0000
0.0000 0.0000 5.8960
Ce O F
2 2 2
Direct
0.2500 0.2500 0.2054
0.7500 0.7500 0.7946
0.2500 0.7500 0.0000
0.7500 0.2500 0.0000
0.2500 0.2500 0.6089
0.7500 0.7500 0.3911
```

[3]
For SmFeCo, a PBE-relaxed structure gives the calculated X-ray diffraction stick pattern in this record (Cu Kα).

Top 10 peaks for 15° ≤ 2θ ≤ 90°, low angle first:
two_theta	Rel. int.
33.16	27
34.57	100
34.71	26
39.66	86
40.67	78
41.08	37
41.41	39
41.77	20
60.14	20
72.92	35

```
SmFeCo
1.0
-2.5842 2.7019 3.6072
2.5842 -2.7019 3.6072
2.5842 2.7019 -3.6072
Sm Fe Co
2 2 2
Direct
0.3757 0.1257 0.2500
0.6243 0.8743 0.7500
0.0000 0.0000 0.5000
0.0000 0.5000 0.0000
0.0000 0.5000 0.5000
0.5000 0.5000 0.0000
```

[4]
For ClF, a PBE-relaxed structure gives the calculated X-ray diffraction stick pattern in this record (Cu Kα).

Top 10 peaks for 15° ≤ 2θ ≤ 90°, low angle first:
two_theta	Rel. int.
25.28	100
27.74	13
28.83	17
32.20	33
34.99	17
36.75	31
42.14	14
49.70	13
51.32	10
55.64	12

```
ClF
1.0
6.5631 0.0000 0.0000
0.0000 3.7394 0.0000
-2.0452 0.0000 7.0479
Cl F
4 4
Direct
0.1529 0.0101 0.2902
0.1529 0.4899 0.7902
0.8471 0.5101 0.2098
0.8471 0.9899 0.7098
0.3676 0.2196 0.8468
0.3676 0.2804 0.3468
0.6324 0.7196 0.6532
0.6324 0.7804 0.1532
```

[5]
For NaCeHfNbO6, a PBE-relaxed structure gives the calculated X-ray diffraction stick pattern in this record (Cu Kα).

Top 10 peaks for 15° ≤ 2θ ≤ 90°, low angle first:
two_theta	Rel. int.
18.85	27
21.80	16
31.02	100
36.55	16
44.45	32
48.68	7
55.19	40
64.67	20
73.46	17
81.86	6

```
NaCeHfNbO6
1.0
0.0000 4.0765 4.0765
4.0765 0.0000 4.0765
4.0765 4.0765 0.0000
Na Ce Hf Nb O
1 1 1 1 6
Direct
0.0000 0.0000 0.0000
0.5000 0.5000 0.5000
0.2500 0.2500 0.2500
0.7500 0.7500 0.7500
0.5022 0.5022 0.9978
0.5022 0.9978 0.5022
0.5022 0.9978 0.9978
0.9978 0.5022 0.5022
0.9978 0.5022 0.9978
0.9978 0.9978 0.5022
```

* * * * *

The following is a simulated powder X-ray diffraction pattern of Fe3O5F. It was derived from DFT lattice parameters and positions (PBE+U), using Cu Kα (λ = 1.5418 Å).

Cell and atoms:
```
data_Fe3O5F
_cell_length_a 9.0180
_cell_length_b 4.6493
_cell_length_c 4.6416
_cell_angle_alpha 90.00
_cell_angle_beta 90.00
_cell_angle_gamma 90.00
_space_group_name_H-M_alt 'P m n 21'
_space_group_IT_number 31
loop_
_space_group_symop_operation_xyz
'x,y,z'
'-x+1/2,-y,z+1/2'
'-x,y,z'
'x+1/2,-y,z+1/2'
loop_
_atom_site_label
_atom_site_type_symbol
_atom_site_fract_x
_atom_site_fract_y
_atom_site_fract_z
_atom_site_occupancy
Fe1 Fe 0.0000 0.2282 0.0000 1
Fe2 Fe 0.1727 0.7521 0.5282 1
O1 O 0.0000 0.9241 0.7041 1
O2 O 0.1605 0.0492 0.2115 1
O3 O 0.1627 0.4362 0.8261 1
F1 F 0.0000 0.5436 0.3193 1
```

Most intense lines, 2θ = 10–80°, sorted by position:
- 3.285 Å, rel. 100.0
- 2.524 Å, rel. 52.1
- 2.323 Å, rel. 10.3
- 2.218 Å, rel. 13.9
- 1.709 Å, rel. 58.4
- 1.642 Å, rel. 16.2
- 1.376 Å, rel. 10.1
- 1.367 Å, rel. 11.1

* * * * *

Structure and calculated powder XRD pattern of PrEr4Pb4 (a structure optimized by DFT (GGA-PBE); copper Kα).
Lines closer than 0.1° are merged.

Main lines, sorted by position (10° ≤ 2θ ≤ 80°):